These days, interviewing is simply a fact of life. At least once or twice (or many more times than that) during your sales career, you’re going to have to interview. I’m going through the Sales Roundup podcasts chronologically to catch up, and I’m on Episode 53, “Trader Up, What Managers Look for in a Candidate”. Mike & Joe make some really good points, and I’d encourage you whether you’re looking for a new opportunity, or looking for the right candidates, to go take a listen.

One of the best highlights I found on this particular podcast is to “Close the Interviewer”. This is a CRITICAL step in the interview process. When you think about it, your job interview is the most important sales pitch you’ll EVER deliver. Your resume isn’t what gets you the dream position, it’s the opportunity you have to give a consultative sales presentation to the sales manager/director. This includes ALL the steps in a sales process:

Ask the right questions (qualify the opportunity)

Uncover their business pain (why are they looking for the position)

What is their decision making process?

Who are the stakeholders?

Then, you simply present the right solution (YOU) in a way that makes it compelling to hire you. (Make sure, however, that you DO have the right solution, ie, that you are the right candidate for the position.)

When the interview process is done, close the interviewer. Here’s a sample conversation (thanks again to the guys over at

Candidate, “Thank you for the opportunity to interview with you. So how did I do?”

Interviewer, “You did ok”

Candidate, “So if you had to make a decision today, would you hire me?”

At this point, the interviewer can either say yes, no, or try to put off the question. If they say “yes”, then simply offer them your hand, and say, “Thank you, and I look forward to working with you”. Your initial sales process is done. You can leave, confident that this step in the process is complete.

If the answer is no, don’t leave it at that, don’t just walk away, ask them, “Well, why not?”

Whatever the reason, you now have an opportunity to handle their objections the way you would TYPICALLY handle objections. I’ve done a lot of interviewing of sales people, and this part of the process is REALLY telling. When you think about it, this is when the hiring manager really has the opportunity to see the candidate’s selling skills in action. Once again, the most important sales call of your life!

One more thing. You simply will NOT get hired (into a great sales opportunity) if you do not follow up. It’s ok for you to be a bulldog about this too, as long as you don’t turn into a stalker. Remember, this is ALSO a way for them to gauge your sales/follow up skills. Follow up and post selling a sale are two key commitments that, frankly, not every sales person possesses. One other thing? If you set the expectation for what they should expect by way of follow up from you, meet or exceed their expectations.

(Next to the entry, the page also holds quantum chemistry results)
____________
No. 1
A molecular structure, C25H33AuO2Se at a distorted geometry. Source: the OMol25 dataset; level of theory: wB97M-V/def2-TZVPD.

Calculated values
* HOMO (spin up / spin down): -0.246 / -0.265 Ha
* strongest force on any atom: 1.69 eV Å⁻¹
* charge: 0
* orbital gap (spin up / spin down): 7.39 / 5.20 eV
* E_tot: -99588.2877 eV
* ΔE to the lowest compared entry with this formula, charge and spin: 0.0 kcal per mole
* E_LUMO (spin up / spin down): 0.7 / -2.0 eV
* M: 641.5 g mol⁻¹
* spin multiplicity: 3

Geometry as XYZ:
```
62
C25H33AuO2Se (wB97M-V/def2-TZVPD)
Au 0.08311 0.01896 2.73213
Se 1.34219 2.11205 3.38177
O 0.22451 -0.05266 -5.28406
O 0.39469 0.08609 -0.49449
C 0.75404 -2.78059 1.46638
C 1.68260 -1.71695 1.40134
C 0.30476 1.54289 -2.38189
C -2.65746 -0.88680 3.45228
C 0.98759 -1.98294 3.62653
C -0.23436 -0.65930 -1.54345
C -0.07842 0.68402 -7.30937
C 0.07808 -0.68552 -6.59216
C -1.87949 0.99652 2.29735
C 1.34662 -1.40167 -6.99737
C -0.02328 2.39454 7.27595
C 2.05487 1.06034 5.94783
C 0.75213 1.44608 7.95837
C 0.10125 1.25710 -5.90866
C -1.14350 -1.58170 -6.69411
C 0.21013 2.65314 5.92688
C 0.38378 1.48085 -0.86790
C -1.99618 0.37349 3.63071
C 1.20457 1.92863 5.23034
C 1.82008 0.81581 7.29976
C -0.57177 0.31606 -2.65962
C -2.48688 0.07994 1.35677
C 0.33213 -2.95517 2.80880
C -2.91953 -1.06494 2.06843
C 1.90246 -1.22594 2.75098
H 1.24338 -1.76954 -8.02820
H 2.19144 -0.70208 -6.95692
H -0.33656 -3.73493 3.17111
H 0.72247 0.89990 -8.01116
H -3.43998 -1.91961 1.62935
H 0.48821 -1.41643 -1.87924
H 1.25794 1.97531 -0.42544
H -0.51415 1.96481 -0.43614
H -2.98090 -1.55672 4.24836
H -2.66531 0.27989 0.30316
H -0.76679 1.79909 -5.52755
H 2.20909 -1.37310 0.51698
H 1.01776 1.83543 -5.76658
H -1.05732 0.83050 -7.75724
H -2.06061 -1.04477 -6.41167
H -0.34810 -0.13780 -3.61946
H -1.63530 2.04092 2.12809
H 2.88015 0.57646 5.42680
H 1.53390 -2.26542 -6.34254
H 0.53787 1.21079 9.00471
H -0.11695 2.46418 -2.77606
H -1.24752 -1.91663 -7.73856
H -1.13024 -1.18886 -1.17454
H 2.47365 0.13094 7.84528
H 0.46927 -3.41472 0.62581
H 2.73240 -0.60798 3.08768
H -0.37598 3.39369 5.38562
H -1.63502 0.58842 -2.59948
H 1.29534 1.36966 -2.80892
H 0.97352 -1.91688 4.71577
H -0.81304 2.94016 7.79473
H -1.84363 0.89749 4.56814
H -1.02767 -2.48450 -6.07143
```

=====

No. 2
4 unconnected molecules or ions with the total composition C25H33BBrF9O10. Source: the OMol25 dataset; level of theory: wB97M-V/def2-TZVPD.

Calculated values
* HOMO: -0.348 Ha
* strongest force on any atom: 0.88 eV Å⁻¹
* charge: 0
* SMILES string: CB(O)C1=C(C[C@@H](C)Br)C(=O)C(CCCO)=CC1=O.CCOC(=O)C(F)(F)F.CCOC(=O)C(F)(F)F.CCOC(=O)C(F)(F)F
* orbital gap: 8.77 eV
* E_tot: -142113.3877 eV
* E_LUMO: -0.7 eV
* M: 755.2 g mol⁻¹

Geometry as XYZ:
```
79
C25H33BBrF9O10 (wB97M-V/def2-TZVPD)
Br 5.32597 0.62630 1.41324
F -1.81491 2.82264 -1.02289
F -3.93526 -1.79612 1.86997
F -2.98580 3.10153 -2.81914
F 5.33592 5.47156 -4.46071
F -3.26132 -3.58055 0.85222
F 6.90757 5.95306 -3.04639
F -3.10571 -3.43607 3.00985
____________
(End of the quantum chemistry results)

One of my key business mentors consistently says, “Promise a Neon, deliver a Porsche”. I must have heard that a hundred times, but it still rings true.

Some follow up ideas:

  1. Send a thank you note. Email is ok, but if you REALLY like the position, I’d either drop off or mail a paper thank you card.
  2. Follow up with a call – ask if they have any questions
  3. Follow up again. I like to send either
    1. A comprehensive email that outlines why you match the criteria you discussed
    2. A sample territory plan
    3. Creative ideas for how you might make their process better
  4. Call them again. Find out when they’re making their decision, make sure you understand the process for that decision

If you ARE looking for that next right position? Good luck! The best way to get that new position? Network your way in. Find out who you know. The best place to start is your friends and business contacts. I recommend that EVERYONE join LinkedIn as well. It’s pretty amazing to see who your contacts have contacts within.

Attached: quantum chemistry results >
+++
# C6H16NO

A 2-piece molecular cluster, C6H16NO overall in a non-equilibrium geometry (ωB97M-V/def2-TZVPD, the OMol25 dataset).

## Properties
- charge = +1
- Kohn-Sham gap (eV) = 5.234
- highest occupied orbital energy (Ha) = -0.4689
- DFT total energy (eV) = -10008.41198
- relative energy (zero: lowest compared OMol25 entry of this formula, charge and spin) (eV) = 4.900
- lowest unoccupied orbital energy (eV) = -7.53

Geometry (Å):
C: 1.391 -1.244 -1.392
O: 2.495 -1.129 -0.540
C: 0.130 -1.261 -0.521
C: -0.153 -0.171 0.390
C: -1.089 0.979 -0.163
C: -2.576 0.533 -0.441
C: -3.399 0.019 0.748
N: 4.056 1.091 1.177
H: 1.503 -0.324 -2.070
H: 1.461 -2.062 -2.131
H: 2.232 -1.718 0.106
H: -0.398 -2.213 -0.474
H: -0.720 -0.558 1.277
H: 0.794 0.267 0.758
H: -0.918 1.768 0.597
H: -0.665 1.316 -1.128
H: -2.520 -0.372 -1.130
H: -3.163 1.279 -0.761
H: -2.892 -0.815 1.239
H: -4.272 -0.373 0.154
H: -3.634 0.872 1.405
H: 3.328 1.746 1.266
H: 4.123 0.715 0.245
H: 4.887 1.654 1.388

=====

# C4H11N3O2

A 2-piece molecular cluster, C4H11N3O2 overall in a non-equilibrium geometry (ωB97M-V/def2-TZVPD, the OMol25 dataset).

## Properties
- Kohn-Sham gap (eV) = 9.482
- highest occupied orbital energy (Ha) = -0.3281
- DFT total energy (eV) = -12891.91217
- relative energy (zero: lowest compared OMol25 entry of this formula, charge and spin) (eV) = 0.918
- lowest unoccupied orbital energy (eV) = 0.55

Geometry (Å):
H: 1.126 1.656 1.256
N: 0.351 1.114 0.897
C: -0.044 1.416 -0.321
N: -1.137 0.741 -0.724
N: 0.578 2.460 -0.974
C: 0.205 2.592 -2.387
H: -1.367 0.733 -1.704
H: -1.430 -0.025 -0.143
H: 1.491 2.686 -0.635
H: 0.985 3.231 -2.860
H: -0.620 3.308 -2.486
H: 0.208 1.661 -2.950
C: -0.232 -3.609 1.398
C: 0.347 -2.375 2.008
O: 1.258 -2.247 2.782
O: -0.382 -1.326 1.560
H: -1.054 -4.024 1.988
H: 0.498 -4.404 1.209
H: -0.651 -3.242 0.465
H: -0.131 -0.348 1.624

=====

# C10H16O

A 2-piece molecular cluster, C10H16O overall in a non-equilibrium geometry (ωB97M-V/def2-TZVPD, the OMol25 dataset).

## Properties
- Kohn-Sham gap (eV) = 9.314
- highest occupied orbital energy (Ha) = -0.3112
- DFT total energy (eV) = -12675.58634
- relative energy (zero: lowest compared OMol25 entry of this formula, charge and spin) (eV) = 2.139
- lowest unoccupied orbital energy (eV) = 0.85

Geometry (Å):
C: 1.658 -2.984 -0.580
C: 1.257 -1.726 -1.380
C: 1.985 -0.544 -1.104
C: 1.489 0.666 -1.512
C: 0.282 0.667 -2.250
O: -0.227 1.869 -2.668
C: -0.429 -0.419 -2.416
C: 0.037 -1.714 -2.013
H: 0.933 -3.779 -0.747
H: 1.709 -2.719 0.431
H: 2.668 -3.341 -0.828
H: 2.894 -0.672 -0.580
H: 2.075 1.567 -1.291
H: 0.501 2.540 -2.489
H: -1.385 -0.475 -2.996
H: -0.438 -2.629 -2.169
C: -2.062 0.311 2.810
C: -1.033 0.824 1.838
C: -0.939 2.313 1.912
H: -2.352 -0.697 2.688
H: -2.950 0.943 2.645
H: -1.793 0.435 3.799
H: -0.112 0.416 2.189
H: -1.267 0.592 0.777
H: -1.606 2.909 2.419
H: -0.019 2.657 2.478
H: -0.879 2.989 1.039

=====

# C21H36F15KO15PS5
+++
Back to the entry >

Here are some great technology recruiters that I’ve worked with either as a hiring manager or as a candidate:

Robert Delridge,

____________
# C36H108N5O23Sn

C36H108N5O23Sn as an isolated structure at a distorted geometry (ωB97M-V/def2-TZVPD, the Open Molecules 2025 dataset).

```
173
Properties=species:S:1:pos:R:3:lowdin_charge:R:1
H -0.234 6.651 1.150 0.1186
H 0.534 -5.282 -4.969 -0.0074
H 2.532 -4.354 -1.362 0.0620
O 1.524 2.129 3.258 -0.0373
H -0.465 3.517 -2.083 0.0553
H 6.424 -2.404 -4.630 0.1330
C -0.257 5.237 -0.673 -0.3750
O -1.566 -5.266 3.649 -0.0480
O 4.657 -5.982 -2.353 -0.0041
H -0.161 2.237 -5.553 0.0541
C -0.648 3.737 -1.031 -0.0192
H -5.538 -4.944 -2.349 0.0503
O -0.430 -2.742 -5.948 -0.1223
H 6.170 -6.211 -4.547 0.0912
H 2.465 -3.182 3.755 0.1006
H -7.386 -0.317 -2.612 0.0614
O -4.215 -1.459 -2.669 -0.1198
H 3.273 1.413 5.170 0.0721
O -3.735 -1.074 2.168 -0.0315
H -3.130 4.984 2.759 0.0520
C 2.659 0.116 2.479 -0.4256
H 2.888 -3.629 0.221 0.0738
C 7.464 -4.466 -3.015 -0.0021
H -1.863 0.009 -5.650 -0.0091
O -2.391 -1.034 -0.331 -0.0068
O -4.758 -4.456 -2.084 -0.1091
H -0.632 -6.078 -5.515 0.0547
H 2.552 3.392 -1.815 0.0712
C 5.713 -2.849 -3.934 -0.1456
H 7.719 -5.338 -2.412 0.0820
H -3.726 -0.999 -1.987 0.0079
H 6.432 -1.841 -2.184 0.0974
H -6.626 0.656 1.053 0.1073
O -0.580 -0.088 -0.911 0.0832
H -2.284 5.892 -0.724 0.0812
H -4.779 4.742 3.369 0.0634
H -2.492 3.039 3.902 0.0878
H 3.493 -2.411 -2.497 0.0911
H 2.834 -4.779 -4.024 0.0208
H -0.180 0.299 6.310 0.0825
H -1.216 5.277 1.428 0.0963
C -6.552 1.738 1.154 -0.1314
H 4.817 -0.080 2.066 0.0770
N -5.157 2.232 3.140 -0.1034
C 5.510 -1.911 -2.761 -0.1684
H -4.455 5.120 1.671 0.0614
H -4.651 1.804 4.964 0.1025
H 2.906 0.189 0.434 0.0871
H -6.603 4.485 1.991 0.0575
H 8.038 -4.699 -3.912 0.0758
H 4.349 5.997 -0.127 0.0846
C 4.179 0.448 2.774 -0.0329
C 5.773 -5.207 -4.696 -0.0450
O 1.090 -1.486 -3.612 -0.0373
H -3.718 -4.326 1.561 0.0210
H 1.933 -3.565 -4.101 0.0136
H 1.266 1.001 1.077 0.0746
Sn -2.548 -3.574 -4.060 1.8036
H 3.435 7.028 -1.273 0.0909
H -1.563 -6.073 3.136 0.0311
H 4.399 0.174 3.806 0.0544
O -4.387 -3.938 0.998 -0.0386
H -0.495 1.168 -4.534 0.0084
H -7.239 4.207 3.580 0.0839
H -3.378 1.558 0.654 0.0944
H 4.107 -1.725 -1.082 0.1126
C 4.385 -2.423 -1.872 -0.1612
H 0.601 1.622 -2.398 0.0205
H -6.640 0.334 -3.757 0.0623
H 4.455 1.499 2.867 0.0797
N 1.144 5.671 -1.137 -0.1695
H -0.005 1.746 5.337 0.0685
H 3.318 -0.017 6.010 0.0748
O -6.520 0.001 -2.868 -0.0242
O -1.569 -3.496 1.662 -0.0260
H -4.152 -0.213 2.125 0.0212
H -4.257 -2.994 1.085 0.0073
H -0.351 -4.566 -1.260 0.0419
O 2.166 -4.366 -4.571 -0.0337
H -1.499 6.221 -2.330 0.0806
C 3.640 6.006 -0.955 -0.0412
C 2.665 3.727 -0.784 -0.0239
H 3.069 5.344 1.599 0.1126
H -5.443 2.022 -0.734 0.0963
C -4.105 4.553 2.534 -0.0093
H 0.707 2.169 2.756 0.0667
C 2.330 0.773 1.151 -0.0553
H 2.692 1.800 1.199 0.0521
C 3.301 -4.210 -0.604 -0.0264
C 2.422 5.215 -0.552 -0.4783
O -5.056 2.566 4.543 -0.0139
C 5.814 -3.675 -0.276 -0.0022
C 2.595 0.729 5.680 -0.0284
N 1.638 0.711 3.449 -0.1192
H 0.358 -1.820 4.319 0.0966
O -1.277 -4.735 -1.430 -0.0808
H -8.160 3.756 2.184 0.0812
____________

Archie Gelb,

Bruce Sundquist,

Paul Golitz,

Howard Longstaff,

Barry Silber,

Carolyne Connor,

Tell ’em Dave Glenn sent you.

If you know of other good ones, please feel free to leave their contact information as a comment here.

PS. Have a great April.